“The Trouble With Pop” – a conversation between Tom Ewing, Hazel Robinson, Alex Macpherson and Pete Baran. Featuring Bat for Lashes, Mastodon, Lady Sovereign, Blackout Crew, Gucci Mane and Girls Aloud.
Audio PlayerThanks for the deep dive into all of this lunacy. I started reading Cerebus in high school, when it was…
Haha! Why didn’t Alex say hello at the beginning? It is very VERY weird hearing the voices of people I know but haven’t actually met.
Alex was very hungover! Also we didn’t actually tell him he had to say hello so he missed it. :)
Interesting listening. I think that the ‘lack of personality’ of Bst for Lashes’ voice is a large part of the reason she’s more successful than others like Emilie Autumn (who I was suprised/pleased to hear mentioned!). As per the Lady Gaga discussion people generally seem to be supportive of eccentric acts as a principle but necessarily a part of the music.
Emilie Autumn pushes ‘I’m mad, me’ and extremes of emotion very clearly in her music and voice in songs like “I Know Where You Sleep”. Although lyrically Bat for Lashes has a lot of setting fire to hearts and similiar it’s reflected in the music in a much more subtle way. Or isn’t at all if you’re being less kind.
Ha, I didn’t realise until I listened back that I was meant to say hello. I was concentrating far too hard on not dying…
He hee, was wondering if you’d hold it together for the whole show and not wish Lady ga ga a terrible fate. I didn’t think you sounded too hungover either :)
What’s the Gucci Mane and Nicki Minaj track called? I liked that. They seem to have collaborated more than once. Um, if it’s the one with the very rude title, just say that.
More generally, nice show if more a series of reviews and arguments than an overview. Maybe you set your stall out too high with the opening (hungover) statements. The “trouble with pop is it’s not popular” requires an awful lot of unpacking. I got the feeling you were really saying the trouble is:
1. The ‘wrong’ pop is popular, or
2. It’s not popular in ways we can reliably measure any more.
I thought it was interesting however that Hazel and the Lex were essentially using rockist sticks to beat current ‘troublesome’ pop with, even if their canon is not the traditional Rockist’s one.
I think more #2 – though Lex certainly feels #1.
‘The wrong pop is popular’ is a entertainingly sulky position, and an absurd one. It was of course, prevalent in certain very un-Lexist quarters back in 1986: “prog dinosaurs like Phil Collins ain’t Pop,” we squealed, “Only an Ooh! Gary Davies-personified conspiracy prevents the wider public from grasping that The Shop Assistants are the new Blondie! Primal Scream should be as loved as the Byrds!” I now maintain this was idiocy, although there have certainly been chart moments since when it has seemed that the music-buying public wasn’t totally adverse to songs that sounded a lot like the ones that had ignored at that time…
Well, this is something I remember that we talked about a few years ago, but I think it goes back to how we define pop. When I first got into the conscious idea of liking “pop”, in the early 00s, what was popular (in the charts, on the radio) dovetailed neatly with my preferred aesthetic; and, prior to the growth of pop-specific critical communities, there wasn’t any widespread notion of pop as a particular sound. Since then, both those definitions of pop have grown away from the music I like, so maybe it’d just be easier for me to say that I don’t really like pop (as in what’s popular – because undeniably, what’s popular is utter shite right now), or pop (as in the sound and values of the aesthetic which self-proclaimed Pop Fans big up). I don’t think this is a rockist line to take! Though tbh I’m not sure what that term even means any more.
That track was ‘Shopaholic’ by Gucci Mane ft. Nicki Minaj, Bobby Valentino & So Icey Boys – http://www.youtube.com/watch?v=3tB8yiCJBwM
It’s a terrific track but doesn’t really showcase what’s special about Gucci – try ‘Bird Flu’, ‘Hot Damn’, ‘White Girl’ or ‘Wrist Gliss’. And for more Nicki, ‘Beam Me Up Scotty’, ‘Brraaattt’, ‘Higher Than A Kite’ and her ‘Single Ladies’ remix are all recommended.
“prior to the growth of pop-specific critical communities” — when do you consider this growth to have begun? there’s a pretty good argument that dates it back to the 50s at least, but you mean much more recently presumably (ie in yr adult lifetime?)
As ever that statement was from the often unwarned opening question of the show (oddly the rest is often overly warmed over, but there is often a tricky opening question). My knee jerk and somewhat glib reaction to it therefore should be a touch excused (and I certainly don’t believe it).
Yes, I think the show lacked a through-line thesis, as perhaps did the individuals. But then the show was called “The Trouble With Pop” and whilst I think we maybe in a bit of a lull at the moment, I am not sure there is a trouble with pop! And we were all far too nice!
How can you say the first Spice Girls album wasn’t good? It is ALL KILLER NO FILLER.
Nooo it is all pants all the time. (the Spice Girls, this is; not the show, that was jolly good fun)
I do apologise for talking over people in this; I didn’t realise I was doing it. :/
Everyone talks over everyone! This was a very restrained edition as they go. Even Pete was quiet sometimes.
I probably spent far too long trying to unpack that statement yesterday! when I listened to this show I thought this was in part referring to the point that pop doesn’t ‘unify the room’ (to borrow something I heard Robert Wyatt say) anymore, but then I thought you couldn’t be comparing it to the 50s or 70s but to the 80s and 90s. Then again the notion that everyone agreed on Elvis is probably garbage (as I’ve also seen talked about). All of this needs more PIE CHARTS.
Surprised at the anti-haircut/bullshit interviews stance.
I think the claim that 1 Xtra has caused some kind of ghettoisation of black pop in this country needs backing with proper evidence, not just a ‘we all know this has happened’ stance. The time when the broader British public liked black American music more than the home country was in the 1960s – since then we’ve liked the big stars (Michael Jackson, Beyonce) and adopted the odd act as almost our own (Three Degrees in the 1970s). But regardless of what may seem right and just to certain commentators here, there is certainly never been an automatic right of US stars to make it here – Biggie’s only reached 34 in the UK charts before he became a hip-hop martyr; and even Jay-Z has only made the UK top ten exactly twice – with his novelty hit and with the duet with the missus.
Also, the argument seems to lean hard on the careful exceptions tactic – “except for Timbaland and T.I. and Rihanna and Beyonce (etc), then there’s absolutely no black pop from the other side of the Atlantic getting any attention here…” Well, those are some socking exceptions.
I think me and Alex were talking specifically about rap, really. Before that, there’d been A LOT of rap getting into the Radio 1 playlist; 1Xtra appeared at the sort of pinnacle of garage, Eminem and Dr Dre were getting massive hits, 50 Cent (much as I dislike him) had just appeared and Kanye West was emerging. Kanye still gets play but other than that, as Alex said, you have to collaborate with Gallows to get on there. Cus Gallows are such a universally accessible noise…
I think more than anything else, 1Xtra and BBC Asian etc. all just make me deeply uncomfortable because it makes it sound like bhangra or grime or soul is some kind of weird niche music only listened to by terribly DIFFERENT people, whereas normal people listen to what the uniquely white Radio 1 weekday DJs tell them. Or well, y’know, the playlist. :/
Re 17: OK, a couple of things.
1) Since I haven’t listened to daytime R1 since the 1980s, I can’t comment on their playlist then and now. But I think your mention of “the pinnacle of garage” is interesting – we might be in the area of what populist stats heads would call “the so-called curse of the Sports Illustrated cover/manager of the month”*. Which is to say that Craig David/So Solid moment was unique in British pop history for the lack of distance between pirate radio and the mainstream, certainly in terms of actual identifiable acts rather than just one-off hits – it has happened before or since. I think the Poptimist fallacy is to expect that the conditions that prevailed in, say, 1998-2002 to be the norm rather than the exception.
2) The racist subtext rather disappears when you consider this was also the time of the creation of R6Music and R7 (following the successful emergence of 5 Live) – and also BBC Three and Four, and More 4 etc… Regardless of whether you like the development, niche broadcasting is the path most of the big media organisations have been following. Again, I’d like to see evidence that the R1 playlist changed in the wake of the creation of 1 Xtra.
*Briefly, sports fans traditionally puzzle over the strange fact that the moment a player or team’s great form is publicly recognised, they seem to go off the boil. There, is of course, no curse: all that has happened – say the stats folk – is reversion to the mean (ie, they stopped playing better than could be normally expected, this oddly hot run being what got them noticed).
### Next to the piece, the page also holds records of molecules
+++
1.
Below is one molecule with the formula C5H11N, with properties calculated with ωB97M-V with the def2-TZVPD basis set.

The calculation puts the energy above the lowest of the compared OMol25 structures with the same formula, charge and spin at 372.18 kJ/mol. Its HOMO energy is -8.10 eV.

Last column: natural (NBO) charge in e.
Element x y z (Å)
C -1.91285 1.02969 -0.35525  -0.61
C -1.43118 -0.38104 -0.03839  -0.22
N -0.03780 -0.51662 -0.43464  -0.52
C 0.94432 -1.71029 0.42433  -0.36
C 1.04566 -0.22779 0.50451  -0.13
C 2.24007 0.48952 -0.08890  -0.61
H -2.96561 1.14375 -0.07957  0.21
H -1.32584 1.77043 0.20169  0.21
H -1.80815 1.24538 -1.42475  0.21
H -1.52569 -0.59732 1.03624  0.19
H -2.02939 -1.12705 -0.57620  0.21
H 0.23457 -2.06696 1.19414  0.14
H 0.30786 -1.32072 -1.03399  0.45
H 0.61615 0.28810 1.37055  0.19
H 3.06310 0.49018 0.63572  0.22
H 2.00056 1.52882 -0.34907  0.21
H 2.58422 -0.03806 -0.98641  0.22

2.
Below is a 2-piece molecular cluster, C5H11N overall, with properties calculated with ωB97M-V with the def2-TZVPD basis set.

The calculation puts the energy above the lowest of the compared OMol25 structures with the same formula, charge and spin at 329.12 kJ/mol. Its HOMO energy is -9.33 eV.

Last column: natural (NBO) charge in e.
Element x y z (Å)
C -0.60894 -1.74611 0.97250  -0.66
C -1.71631 -0.92359 0.51291  -0.21
C -1.68179 0.44272 0.50609  -0.39
H 0.17060 -2.11281 0.15417  0.21
H -0.89057 -2.64267 1.54292  0.23
H -0.06797 -1.13665 1.68038  0.22
H -2.67858 -1.31412 0.29297  0.20
H -2.62643 1.24305 0.52700  0.21
H -0.72579 0.97956 0.57191  0.19
C 0.63166 1.35246 -1.47657  -0.47
C 2.30792 0.42838 0.06373  -0.10
N 1.88782 1.45908 -0.70203  -0.38
H 0.10137 0.29974 -1.28196  0.18
H -0.08441 2.18386 -1.17461  0.21
H 0.73729 1.50677 -2.61154  0.22
H 3.31377 0.56315 0.45904  0.18
H 1.93035 -0.58283 -0.03691  0.16

3.
Below is one molecule with the formula C5H11N, with properties calculated with ωB97M-V with the def2-TZVPD basis set.

The calculation puts the energy above the lowest of the compared OMol25 structures with the same formula, charge and spin at 73.31 kJ/mol. Its HOMO energy is -7.96 eV.

Last column: natural (NBO) charge in e.
Element x y z (Å)
C -2.89850 -0.77416 0.41036  -0.64
C -1.43332 -0.40152 0.35243  -0.28
C -0.91866 0.59778 -0.35378  0.00
N 0.44409 0.89004 -0.45590  -0.62
C 1.41643 -0.04306 0.06196  -0.22
C 2.81543 0.32732 -0.40230  -0.60
H -3.44259 -0.15762 1.12057  0.21
H -3.37283 -0.74382 -0.56663  0.21
H -2.98401 -1.80228 0.76007  0.21
H -0.78508 -1.02819 0.95873  0.19
H -1.56639 1.19585 -0.98628  0.19
H 0.69049 1.85072 -0.23954  0.37
H 1.14741 -1.05333 -0.27168  0.20
H 1.40712 -0.10996 1.15491  0.16
H 3.54992 -0.32326 0.07930  0.21
H 3.03039 1.36629 -0.13800  0.20
H 2.90010 0.20919 -1.48422  0.21

4.
Below is C5H11N2 as an isolated structure, with properties calculated with ωB97M-V with the def2-TZVPD basis set.
+++
the niche broadcasting issue is a bit like the multicultural identity politics issue, isn’t it? it’s introduced to solve a problem of cultural representation (in the political sense: having a programme that “represents” such and such a community’s needs) but then functions as ghettoisation instead — the pressures on the mainstream to respond are reduced, so it narrows and hardens
1982-200x is of course the era of the maximum development of niche broadcasting as a solution (in business and in politics) and the emergence of its problems…
I don’t know British people are always so eager to deny that race is ever a factor in anything. It’s something I’ve repeatedly encountered, and from someone who admits he hasn’t actually listened to the radio station in question in two decades? Take it from someone who was: prior to the creation of 1Xtra, r&b and hip-hop and UK garage and, before them, even bits and bobs of trip-hop and drum’n’bass, were all over the radio, in sufficient quantities for a public schoolboy buried in Somerset in a pre-internet age to be aware of them. And since then, their equivalents have been hived off away from the mainstream. The exceptions are mostly down to a change in sound, usually a dilution, away from the original genre – which is what all the acts we mentioned have done (Lady Sovereign, Tinchy Stryder, T.I.).
It’s true that whenever I look up the chart positions of 90s tracks I consider standards by acts I consider to pretty firmly entrenched in the pop pantheon – Snoop, Mary J, Biggie and so on – they’re often a lot lower than I expected. I’m not sure how well their albums did, though certainly hip-hop and r&b have tended to be a lot more album-orientated than they’ve been credited for. Really, though, a lot of this is down to their core audience not being one which has ever bought CD singles or been much bothered by where their favourite artist places in the chart (which has a lot to do with what the essence of that music is). This doesn’t mean that there isn’t an audience beyond that or that it should be ghettoised.
Even if what you say is true, it begs the question of why the UK – gatekeepers, public, whoever is responsible – is so closed off to ‘black’ forms of music, whether originating at home or abroad. (Clue: I don’t think the public does have an inherent dislike of it!)
number of tracks on current Radio 1 playlist: 50
number of those also on 1Xtra playlist: 16 or so by my reckoning, just under a third
that’s a reasonable extrapolated representation of “urban pop” given R1 also has to cover the alternatives – it just suggests that R1’s position is more to act as summariser for what 1Xtra, Radio 2 and Radio 6 are playing more often.
that doesn’t excuse the rationale behind 1Xtra (or 6 Music) but still feel they were damned if they did and damned if they didn’t.
Also, the argument seems to lean hard on the careful exceptions tactic – “except for Timbaland and T.I. and Rihanna and Beyonce (etc), then there’s absolutely no black pop from the other side of the Atlantic getting any attention here…” Well, those are some socking exceptions.
I think the fact that these are socking exceptions is the point! Timbaland and Beyonce were both big names in mainstream pop already; Rihanna is a pop singer more than an rnb singer; T.I. is an interesting outlier who has managed to get pop airplay through alliance with established acts (his non-featuring tracks have never done well on uk pop radio). The people we’d be looking for, and not finding, are the generic acts, the bulk, the ones whose presence makes a genre feel pervasive. (just as the ‘pop princesses’ wave of 98/99 wouldn’t have existed if it were only britney and christina, it needed mandy moore and jessica simpson and jennifer paige).
but isn’t the fear of dilution part of the problem? niche-stations set up — and they self set-up also, this is what pirates are — because they’re worried that to get into the “mainstream” they have to not be themselves, and rub shoulders with stuff they sneer at?
mark m’s point is that the niche-response is primarily a way of maximising listeners (viz you lex wd be more likely to listen to a station that was all grime than one which featured half grime and half indie, or even half metal, so yr tastes feed into the dark side here): by dividing the audience you maximise the totals (but build in social and cultural divisions); present-day racism needn’t be the root cause of the decision, even if back-in-the-day racism created the divisions in the first place… (in fact, i would argue that niche-broadasting is thought of as an anti-racist strategy; the problem is, it isn’t…)
the utopian all-in-it-together model of pop broadcasting has actually NEVER sustainedly existed, as far as i know — back to the dawn of radio in the 20s, there was always a “light programme” and a “third programme”
Rihanna is a pop singer more than an rnb singer
or at least – her singles are more “pop” than “rnb” in sound.
I’m in a funny position with the ‘ghettoisation’ question because I grew up in London and to me there were always niche stations on my radar – capital for pop, capital gold for old pop, kiss fm for rnb, and after a while xfm for indie. So when we had arguments in the common room at school over what to have on the radio the question was ‘kiss or xfm’, Radio1 wasn’t really considered an option (i guess uncool because a compromise). If I think of “the pinnacle of garage”, I think immediately of Kiss FM, not of whether or not it was played on Radio 1– though of course it was.
Lex, I never said that race wasn’t a factor or that Radio 1 didn’t change their playlist policy in the 00s – I would just like bit of evidence.
I spent the ’90s writing about hip-hop – I reviewed the first Wu-Tang album and The Fugees’ The Score and dozens of other hip-hop and r’n’b albums for Select, and wrote one of the first things about Eminem in this country for The Face. And that time, talking to other journalists or record company PRs, we never expected these acts to be mainstream huge in this country. Take Doggystyle – for me, it’s the defining sound of that time, and lots of people would agree. But it peaked at 38 in the album charts (so no, they weren’t selling lots of albums), and Who Am I got to 20 in the singles, and Gin And Juice to 39 (yes, 39 for ever quotable Gin And Juice). At the same time, Mary J was nipping into the top twenty if she was lucky…
All that seemed to change late in the ’90s, and that’s what I am talking in terms to it creating a false perception of what the norm. Certain things go and out of fashion – that’s the nature of pop. And it’s a false equivalence to say, well Fiddy was big for a while so that Lil’ Wayne should be huge now – they are different people with different appeals.
If we look at the current top 20, we’ve got Ciara, Beyonce, Flo Rida, Akon and TI (leaving out the Noisettes and Eminem). That hardly suggests that black pop is marginalised in any real way – and also says that it is certainly closer to the mainstream than it was 15 years ago, though not six or seven years ago. There be no particularly reason to expect that the British charts should be full of black music, other than the fact that white British people have always liked and continue to like it. I can’t really see why you expect there to be even more of it in the charts…
Stevem – not going to stat-crunch but look at what sort of tracks cross over from 1xtra to R1. It’s the ones which make concessions and dilute themselves (which doesn’t necessarily make the music worse, but right now it mostly does): Tinchy Stryder going electro, T.I. sampling eurocheese and duetting with Rihanna, big names like Beyoncé, people tentatively playing it safe like Alesha Dixon.
The more ‘black’ a song codes, the more steeped in R&B tradition or the more actual rapping it features or the more part of a ‘scary’ ‘underground’ UK scene it is – the less likely it is that it crosses over. Hence the total lack of mainstream presence of Anthony Hamilton and Jazmine Sullivan; the way last year’s undisputed pop anthem, ‘A Milli’, went unheard here; the failure of the biggest UK funky tracks to gain any traction at all; the reason why Ms Dynamite’s comeback single, despite being an incredible piece of work, is yet to find anyone willing to release it commercially.
Cis is OTM about the bulk: back in 98-02, you had the biggest names like Destiny’s Child, Kelis and Aaliyah, but then you also had a Mya single here, a Brandy single there, Christina Milian and Pink’s first album and Truth Hurts…good times.
There’s also the “cultural presence” thing – in the 90s, Snoop and Mary J and so on may not have been scoring No 1 hits out of the block every time, but they were there, you knew what they represented, you had access to them. An equivalent now would be Adele, who I think has only had one top 10 hit so far, but her cultural presence is massive, whereas Lil’ Wayne is basically unknown.
Also, on the subject of gatekeepers, in pˆnk s lord sükråt cunctør’s time the NME was consistently* pro-black pop (past and present), until they eventually regretfully concluded that could keep telling their readers that T La Rock was more exciting than the House Of Love (which was true) for another thousand years with it having the slightest effect other than to deep depressing sales of the newspaper.
*Not with much bloody internal debate.
And in the end (regardless of whether you get my name right), we all agree that the turn of the century was a good time to be listening to music.
It doesn’t really seem like 1Xtra has altered Radio 1’s approach here tho – at least not when it comes to daytime playlist selection. Who was the Jazmine Sullivan of ’99 or ’89 and were they being playlisted by R1? I can’t think of an equivalent! The problem of including them now is that it undermines or negates 1Xtra’s mandate further (if R1 plays the ‘uncompromised’ stuff as well). It’s a bind.